1 John 2:27 (AMP) --- As for you, the anointing which you received from Him remains [permanently] in you, and you have no need for anyone to teach you. But just as His anointing teaches you [giving you insight through the presence of the Holy Spirit] about all things, and is true and is not a lie, and just as His anointing has taught you, you must remain (abide) in Him [being rooted in Him, knit to Him].
This morning has been really good. Much better than my half alive, mentally unavailable start yesterday. Today after talking/praying for a while we moved back into 1 John chapter 2 and came upon a verse that has a lot to it. It was an adventure walking through it, studying it and discussing it with Him.
There is a lot packed into this single verse, made up of two sentences, 42 Greek words, 9 of those verbs. Anyway, I think you get the point, it's a lot. Also, what He's saying here is a lot too. We dove deep into the Greek and things like that but in the end, He kept bringing me back to the word, "simple". So here is how it became simple to me.
First was understanding the context, the why behind it. John has been discussing walking in light versus darkness, the love of God being in you or not. Then how you can KNOW that you KNOW Him, which is are you following His commandments or not, are you striving to walk like Jesus or not, are you abiding in Him or not. These things clearly confirm to a real Christian they are safe, secure, and warm in Jesus, but to a false teacher they expose and push at them. Then John moves to warning of antichrists/false teachers being in the church already.
A big false teaching thing that was starting to go around was the beginning forms of something called "Gnosticism", there are a bunch of different types but at its core this is what it was. To sum it up, it's a blending of Greek dualism with Eastern mysticism. Dualism being spirit things good, material things evil. Some even believed Jesus was a spirit resting on a regular man, not that He was God and man. Eastern mysticism was focused on secret knowledge that only a few chosen could obtain.
Okay so now we have a solid context of why John starts his whole letter off with, "Hey we saw Him, we walked with Him, we touched Him, we at fish with Him, we lived life with Him!" Now we know why John is so adamant to show what really walking with Him means, in light or in darkness, etc… This kind of teaching can really ensnare someone who isn't solidly walking and abiding in Jesus every day. If you don't KNOW that you KNOW Him, and someone says, "Hey I've got some secret knowledge that you need to go with the Gospel of Jesus you accepted when you were 8 years old at bible school.", well you're gonna want to find out what you've missed somewhere.
Okay so God said "simple". I know so far it doesn't feel simple, it's a lot of info. Lots of words Phillip. Okay so here's the simple breakdown for me. (Now you be the Berean and pray/read/study this yourself too!)
1. We received anointing when we accepted Jesus. Holy Spirit abides/is rooted in us.
2. We don't need another human to teach us secret knowledge on top of Jesus and the Holy Spirit.
• What comes next are data records, not part of the entry:
'''
5 unconnected molecules or ions with the total composition C15H26ClF9N4O10PS, computed with ωB97M-V/def2-TZVPD.

Geometry as ORCA input:
```
! wB97M-V def2-TZVPD RIJCOSX def2/J DEFGRID3
* xyz -1 1
C 2.308 -2.169 2.924
C 1.256 -1.704 2.588
P -0.353 -0.881 2.054
C -1.244 -2.526 1.797
C -0.734 -3.787 2.492
C 0.460 0.849 2.468
Cl 1.848 1.070 1.306
C -0.529 1.985 2.315
C 0.051 3.406 2.219
S -1.083 -0.887 4.432
O -1.242 0.485 4.922
O -0.265 -1.740 5.283
C -2.840 -1.543 4.828
F -2.992 -2.850 4.510
F -2.920 -1.465 6.176
C -4.039 -0.705 4.252
F -4.640 -0.034 5.265
F -3.615 0.204 3.359
C -5.169 -1.553 3.601
F -4.700 -2.293 2.583
F -5.691 -2.363 4.550
C -6.360 -0.727 3.034
F -5.965 0.182 2.149
F -7.190 -1.575 2.407
F -7.050 -0.125 3.998
H 3.277 -2.518 3.200
H -1.588 -0.191 1.706
H 0.108 -0.794 0.711
H -2.295 -2.352 2.025
H -1.186 -2.679 0.714
H -0.504 -3.631 3.546
H -1.506 -4.566 2.445
H 0.143 -4.188 1.984
H 0.943 0.843 3.443
H -1.222 1.941 3.153
H -1.119 1.792 1.410
H 0.278 3.660 1.186
H -0.682 4.125 2.593
H 0.958 3.510 2.818
C 2.966 -0.459 -3.478
N 2.588 -0.640 -2.049
O 3.434 -0.434 -1.204
O 1.435 -0.944 -1.826
H 4.009 -0.169 -3.527
H 2.790 -1.392 -4.004
H 2.328 0.334 -3.850
C 1.327 3.560 -1.266
N 1.999 2.683 -2.255
O 1.309 1.990 -2.975
O 3.213 2.699 -2.267
H 0.256 3.425 -1.364
H 1.681 3.245 -0.287
H 1.632 4.581 -1.479
C 4.466 4.102 -5.744
N 4.422 2.633 -5.506
O 5.267 2.154 -4.788
O 3.534 2.016 -6.060
H 5.303 4.507 -5.188
H 4.580 4.253 -6.813
H 3.521 4.511 -5.399
C 0.404 -2.223 -6.991
N 1.102 -2.644 -5.745
O 0.563 -2.408 -4.689
O 2.181 -3.187 -5.883
H -0.531 -1.753 -6.712
H 1.063 -1.532 -7.509
H 0.245 -3.116 -7.588
*
```

## Properties
max |F|: 0.044 Eh/bohr
energy: -99502.5308 eV
HOMO energy: -5.11 eV
Kohn-Sham gap: 6.83 eV

---

C6H12S in the gas phase, computed with ωB97M-V/def2-TZVPD.

Geometry as ORCA input:
```
! wB97M-V def2-TZVPD RIJCOSX def2/J DEFGRID3
* xyz 0 1
C -2.906 -0.186 0.435
C -0.206 0.159 -0.280
C -0.502 1.639 -0.363
C 1.023 -0.366 -0.103
C 2.300 0.434 0.011
C 1.284 -1.860 -0.040
H -2.580 0.018 1.462
H -3.273 0.738 0.002
H -3.726 -0.911 0.450
H 0.411 2.259 -0.332
H -1.057 1.901 -1.270
H -1.156 1.972 0.463
H 2.178 1.509 -0.156
H 2.726 0.298 1.015
H 3.031 0.054 -0.699
H 0.380 -2.421 0.233
H 2.041 -2.040 0.727
H 1.638 -2.267 -0.989
S -1.605 -0.930 -0.565
*
```

## Properties
ΔE to the lowest compared entry with this formula, charge and spin: 0.137 eV
max |F|: 0.013 Eh/bohr
energy: -17251.4646 eV
HOMO energy: -8.04 eV
Kohn-Sham gap: 8.99 eV
SMILES: CSC(C)=C(C)C

---

C7H8N2S2 in the gas phase, computed with ωB97M-V/def2-TZVPD.

Geometry as ORCA input:
```
! wB97M-V def2-TZVPD RIJCOSX def2/J DEFGRID3
* xyz 0 1
C -3.090 -1.108 2.499
C -2.874 -0.632 1.255
C -1.822 -1.138 0.235
C 0.541 -0.254 -0.902
C 2.641 0.532 -1.811
C 3.645 1.383 -1.290
C 1.774 1.732 -0.177
H -2.759 -2.191 2.753
H -3.772 -0.441 3.281
H -3.352 0.412 1.037
H -2.100 -0.770 -0.855
H -1.314 -2.199 0.315
H 2.719 -0.325 -2.363
H 4.604 1.723 -1.605
H 0.793 1.999 0.246
'''
3. The anointing we have, Holy Spirit in us, will guide and teach us, show us truth and expose lies.
4. That teaching/guidance is based on what He's already taught us; ABIDE IN HIM. In Jesus. Walking with Him daily, bible reading, praying, living life with Him, interacting with the church, etc…
So, this isn't an out for going to church. It isn't a greenlight to stop reading your Bible. The teaching from the Holy Spirit isn't based in your feelings or your desires, "I reject that teaching as I feel the holy ghost saying I need to play the lottery and eat oreos for the next few months." NOPE... John shows clearly, it's all based in abiding in Jesus. Which means you had better be spending time daily in His presence, reading your Bible, praying, fellowshipping with other believers. Being grounded in those things will allow you to KNOW His voice and recognize the Holy Spirit's guidance and discernment of truth/lies.
Okay so lots of words today and I felt led to write and draw out this poem:
Abiding in my home, I am safe, secure and warm
Breezing along with Him, never to me a chore
I hear the doorbell ringing, wonder who it could be
Darkening my doorway, a salesman I see
Eager he is to tell me, things about my home
In his briefcase he carries, secrets that he knows
Now he stresses I must listen, it's about your home he warns
He guarantees the info, will help me feel safe, secure and warm
It's then I hear His voice, calling me back inside
My Jesus assures me, It's in Him I already abide